- - -
No. 1
Below is a structure of composition C33H40N5O7S3SeTi at a distorted geometry, with properties calculated with wB97M-V/def2-TZVPD.

- Relative energy (zero: lowest compared OMol25 entry of this formula, charge and spin): 177.2 kJ/mol
- LUMO level: -4.23 eV
- Net charge: +1

```
90
Properties=species:S:1:pos:R:3:lowdin_charge:R:1
Ti -0.496 -0.801 0.652 1.032
C 3.585 0.948 -1.428 -0.489
C 3.773 0.070 -2.653 -0.485
S 2.841 -1.500 -2.523 0.873
C 1.923 -1.526 -4.099 -0.520
C 0.922 -0.405 -4.301 -0.473
S -0.284 -0.258 -2.910 0.875
C -0.244 1.538 -2.619 -0.510
C 1.093 2.098 -2.170 -0.480
S 1.864 1.135 -0.813 0.860
H 3.992 1.945 -1.595 0.087
H 4.091 0.506 -0.571 0.057
H 4.830 -0.185 -2.748 0.079
H 3.454 0.570 -3.564 0.068
H 1.417 -2.490 -4.083 0.067
H 2.652 -1.524 -4.910 0.084
H 0.357 -0.596 -5.214 0.077
H 1.414 0.558 -4.400 0.062
H -1.004 1.688 -1.850 0.050
H -0.566 2.038 -3.535 0.081
H 0.945 3.118 -1.811 0.045
H 1.815 2.118 -2.983 0.068
O 4.146 -2.092 4.172 -0.005
C 3.572 -1.636 5.176 -0.702
O 3.855 -1.411 6.320 0.069
C 2.190 -1.244 4.539 -0.048
C 2.040 0.076 4.097 0.033
C 1.132 0.380 3.103 -0.073
N 0.365 -0.557 2.534 -0.009
C 0.448 -1.815 3.015 -0.181
C 1.329 -2.206 3.999 0.080
C -0.471 -2.766 2.295 -0.534
O -0.360 -3.971 2.362 0.138
O -1.331 -2.140 1.551 -0.073
H 2.657 0.847 4.527 0.133
H 0.995 1.400 2.756 0.117
H 1.347 -3.238 4.315 0.145
C -8.274 -0.231 -4.271 -0.056
O -6.887 -0.483 -4.154 -0.087
C -6.018 0.501 -4.485 -0.237
C -6.362 1.749 -4.998 0.005
C -5.383 2.693 -5.254 -0.051
C -4.051 2.427 -4.991 -0.060
C -3.695 1.193 -4.482 0.000
C -4.665 0.234 -4.240 -0.177
N -4.218 -1.037 -3.771 0.156
C -3.707 -1.242 -2.575 0.040
C -4.008 -0.485 -1.423 -0.101
C -5.268 0.127 -1.243 0.014
C -5.601 0.721 -0.056 -0.045
C -4.690 0.716 1.006 -0.014
C -3.450 0.134 0.872 0.000
C -3.055 -0.447 -0.353 -0.292
O -1.850 -0.888 -0.558 -0.228
H -8.766 -1.109 -3.856 0.101
H -8.566 -0.108 -5.316 0.104
H -8.569 0.654 -3.702 0.102
H -7.394 1.991 -5.185 0.113
H -5.674 3.645 -5.666 0.116
H -3.298 3.172 -5.188 0.110
H -2.666 0.943 -4.277 0.088
H -4.089 -1.746 -4.483 0.182
H -3.021 -2.074 -2.456 0.148
H -6.001 0.030 -2.024 0.108
H -6.576 1.161 0.075 0.115
H -4.978 1.155 1.947 0.123
H -2.755 0.102 1.713 0.111
C 3.272 -1.707 1.194 -0.008
N 2.572 -2.928 0.821 -0.052
C 3.328 -4.127 1.146 0.003
C 1.412 -2.857 0.163 -0.440
O 0.898 -1.686 -0.025 -0.204
N 0.762 -3.895 -0.391 -0.077
C -0.408 -3.605 -1.206 -0.029
C 0.919 -5.301 -0.068 -0.028
H 4.120 -1.582 0.518 0.104
H 3.646 -1.803 2.219 0.076
H 2.620 -0.836 1.114 0.064
H 4.331 -3.815 1.428 0.108
H 3.404 -4.798 0.294 0.094
H 2.895 -4.640 2.005 0.107
H -0.280 -2.646 -1.719 0.038
H -0.504 -4.400 -1.946 0.107
H -1.318 -3.577 -0.588 0.104
H 1.234 -5.438 0.959 0.078
H 1.615 -5.787 -0.754 0.103
H -0.054 -5.777 -0.164 0.103
Se -0.570 3.955 0.614 0.792
C -0.620 2.260 0.683 -0.939
N -0.645 1.072 0.684 -0.092
```

***

No. 2
Below is a structure of composition C33H40N6NiOS, with properties calculated with wB97M-V/def2-TZVPD.

- Relative energy (zero: lowest compared OMol25 entry of this formula, charge and spin): 0.0 kJ/mol
- LUMO level (spin up / spin down): 0.02 / 0.01 eV
- Spin multiplicity: 3

```
82
Properties=species:S:1:pos:R:3:lowdin_spin:R:1
Ni 0.214 0.561 0.939 1.669
C -1.210 -2.077 2.154 0.004
C -1.708 -1.356 3.409 0.000
C -1.319 0.134 3.490 0.006
N -0.023 0.441 2.924 0.069
C 1.061 0.541 3.659 0.006
C 1.134 0.137 5.012 0.005
C 2.106 0.347 5.970 -0.001
C 3.284 1.075 5.921 0.002
C 3.765 1.745 4.802 -0.001
C 3.307 1.771 3.503 0.003
C 2.226 1.087 2.888 0.004
N 2.058 1.007 1.597 0.051
C 2.875 1.692 0.625 0.005
C 2.363 3.128 0.358 0.000
C 0.935 3.448 0.810 0.003
N -0.070 2.476 0.406 0.042
C -1.342 2.789 0.451 0.007
C -1.813 4.054 0.899 0.009
C -3.040 4.667 0.783 0.001
C -4.209 4.226 0.176 0.012
C -4.403 2.954 -0.326 0.002
C -3.583 1.840 -0.283 0.014
C -2.269 1.658 0.197 0.002
N -1.742 0.453 0.391 0.037
C -2.671 -0.672 0.436 0.005
C -2.095 -2.010 0.909 0.000
H -0.206 -1.714 1.921 0.002
H -1.067 -3.137 2.380 0.000
- - -

Quote the contents earlier on from the first line to the one with "***" without additions.

No. 1
Below is a structure of composition C33H40N5O7S3SeTi at a distorted geometry, with properties calculated with wB97M-V/def2-TZVPD.

- Relative energy (zero: lowest compared OMol25 entry of this formula, charge and spin): 177.2 kJ/mol
- LUMO level: -4.23 eV
- Net charge: +1

```
90
Properties=species:S:1:pos:R:3:lowdin_charge:R:1
Ti -0.496 -0.801 0.652 1.032
C 3.585 0.948 -1.428 -0.489
C 3.773 0.070 -2.653 -0.485
S 2.841 -1.500 -2.523 0.873
C 1.923 -1.526 -4.099 -0.520
C 0.922 -0.405 -4.301 -0.473
S -0.284 -0.258 -2.910 0.875
C -0.244 1.538 -2.619 -0.510
C 1.093 2.098 -2.170 -0.480
S 1.864 1.135 -0.813 0.860
H 3.992 1.945 -1.595 0.087
H 4.091 0.506 -0.571 0.057
H 4.830 -0.185 -2.748 0.079
H 3.454 0.570 -3.564 0.068
H 1.417 -2.490 -4.083 0.067
H 2.652 -1.524 -4.910 0.084
H 0.357 -0.596 -5.214 0.077
H 1.414 0.558 -4.400 0.062
H -1.004 1.688 -1.850 0.050
H -0.566 2.038 -3.535 0.081
H 0.945 3.118 -1.811 0.045
H 1.815 2.118 -2.983 0.068
O 4.146 -2.092 4.172 -0.005
C 3.572 -1.636 5.176 -0.702
O 3.855 -1.411 6.320 0.069
C 2.190 -1.244 4.539 -0.048
C 2.040 0.076 4.097 0.033
C 1.132 0.380 3.103 -0.073
N 0.365 -0.557 2.534 -0.009
C 0.448 -1.815 3.015 -0.181
C 1.329 -2.206 3.999 0.080
C -0.471 -2.766 2.295 -0.534
O -0.360 -3.971 2.362 0.138
O -1.331 -2.140 1.551 -0.073
H 2.657 0.847 4.527 0.133
H 0.995 1.400 2.756 0.117
H 1.347 -3.238 4.315 0.145
C -8.274 -0.231 -4.271 -0.056
O -6.887 -0.483 -4.154 -0.087
C -6.018 0.501 -4.485 -0.237
C -6.362 1.749 -4.998 0.005
C -5.383 2.693 -5.254 -0.051
C -4.051 2.427 -4.991 -0.060
C -3.695 1.193 -4.482 0.000
C -4.665 0.234 -4.240 -0.177
N -4.218 -1.037 -3.771 0.156
C -3.707 -1.242 -2.575 0.040
C -4.008 -0.485 -1.423 -0.101
C -5.268 0.127 -1.243 0.014
C -5.601 0.721 -0.056 -0.045
C -4.690 0.716 1.006 -0.014
C -3.450 0.134 0.872 0.000
C -3.055 -0.447 -0.353 -0.292
O -1.850 -0.888 -0.558 -0.228
H -8.766 -1.109 -3.856 0.101
H -8.566 -0.108 -5.316 0.104
H -8.569 0.654 -3.702 0.102
H -7.394 1.991 -5.185 0.113
H -5.674 3.645 -5.666 0.116
H -3.298 3.172 -5.188 0.110
H -2.666 0.943 -4.277 0.088
H -4.089 -1.746 -4.483 0.182
H -3.021 -2.074 -2.456 0.148
H -6.001 0.030 -2.024 0.108
H -6.576 1.161 0.075 0.115
H -4.978 1.155 1.947 0.123
H -2.755 0.102 1.713 0.111
C 3.272 -1.707 1.194 -0.008
N 2.572 -2.928 0.821 -0.052
C 3.328 -4.127 1.146 0.003
C 1.412 -2.857 0.163 -0.440
O 0.898 -1.686 -0.025 -0.204
N 0.762 -3.895 -0.391 -0.077
C -0.408 -3.605 -1.206 -0.029
C 0.919 -5.301 -0.068 -0.028
H 4.120 -1.582 0.518 0.104
H 3.646 -1.803 2.219 0.076
H 2.620 -0.836 1.114 0.064
H 4.331 -3.815 1.428 0.108
H 3.404 -4.798 0.294 0.094
H 2.895 -4.640 2.005 0.107
H -0.280 -2.646 -1.719 0.038
H -0.504 -4.400 -1.946 0.107
H -1.318 -3.577 -0.588 0.104
H 1.234 -5.438 0.959 0.078
H 1.615 -5.787 -0.754 0.103
H -0.054 -5.777 -0.164 0.103
Se -0.570 3.955 0.614 0.792
C -0.620 2.260 0.683 -0.939
N -0.645 1.072 0.684 -0.092
```

***